Patents by Inventor Florian Pivit

Florian Pivit has filed for patents to protect the following inventions. This listing includes patent applications that are pending as well as patents that have already been granted by the United States Patent and Trademark Office (USPTO).

  • Publication number: 20090305665
    Abstract: An exemplary method of identifying a transmitting device includes receiving a signal. A discrete Fourier transform of at least one portion of the signal produces a plurality of frequencies that indicate at least one unique characteristic of the transmitting device. A determination is made whether the transmitting device is a known device based upon the plurality of frequencies.
    Type: Application
    Filed: June 4, 2008
    Publication date: December 10, 2009
    Inventors: Irwin Oliver Kennedy, Francis Joseph Mullany, Milind Buddhikot, Florian Pivit, Patricia Scanlon
  • Publication number: 20090122909
    Abstract: The invention concerns a radio frequency transmitter (RFT) and a method of amplifying a radio frequency input signal (SIN) in the radio frequency transmitter (RFT). The radio frequency transmitter (RFT) comprises a digital signal generator (DSG) with a generation unit (GU) adapted to generate a pulsed bit stream signal and a switch mode power amplifier (SMPA) with a transistor circuit (PT) adapted to amplify the radio frequency input signal (SIN). The digital signal generator (DSG) further comprises a control unit (CU) adapted to detect in said pulsed bit stream signal a sequence of a constant signal height longer than a predefined threshold. The control unit (CU) is also adapted to initiate, upon detection of said sequence, a generation of a modified pulsed bit stream signal by an insertion of one or more notches in said sequence. Said notches interrupt said sequence by a signal of a signal height different from the signal height of the sequence.
    Type: Application
    Filed: November 10, 2008
    Publication date: May 14, 2009
    Inventors: Florian Pivit, Jan Hesselbarth, Georg Fischer, Suramate Chalermwisutkul
  • Publication number: 20080198017
Here the entry breaks off for crystal structures.
/*
Na2AlInF6: simulated powder X-ray diffraction pattern (Cu Kα (weighted mean of Kα1 and Kα2)), based on the GGA-PBE geometry in the Materials Project.
No peak broadening, texture or thermal motion is included.

Cell and atoms:
abc: 8.7215 8.7215 8.7215
angles: 90.00 90.00 90.00
Space group Fm-3m (No. 225)
Symmetry-distinct sites (fractional):
Na (0.2500, 0.2500, 0.2500) (multiplicity 8)
Al (0.0000, 0.0000, 0.0000) (multiplicity 4)
In (0.0000, 0.0000, 0.5000) (multiplicity 4)
F (0.0000, 0.0000, 0.2099) (multiplicity 24)

Peak list (8 most intense, 2θ = 5–70°, by angle)
d [Å]	Rel. int.	index
4.361	92	2 0 0
3.084	100	2 2 0
2.630	46	3 1 1
2.180	59	4 0 0
2.001	38	3 3 1
1.950	29	4 2 0
1.780	33	4 2 2
1.542	31	4 4 0

~~~~~

Diffraction record for NdV2Fe10. The powder XRD pattern is simulated, not measured: it uses a crystal structure in the Materials Project, relaxed with PBE and Cu Kα (weighted mean of Kα1 and Kα2).
Kinematic intensities with the Lorentz-polarization factor, no thermal factor.

Crystal structure
```
data_NdV2Fe10
_chemical_formula_sum 'Nd2 V4 Fe20'
_cell_length_a 4.6771
_cell_length_b 8.5477
_cell_length_c 8.5803
_cell_angle_alpha 90.00
_cell_angle_beta 90.00
_cell_angle_gamma 90.00
_space_group_name_H-M_alt 'I m m m'
_space_group_IT_number 71
_space_group_name_Hall '-I 2 2'
loop_
_atom_site_label
_atom_site_fract_x
_atom_site_fract_y
_atom_site_fract_z
_atom_site_occupancy
Nd1 0.0000 0.0000 0.0000 1
V1 0.0000 0.0000 0.3596 1
Fe1 0.0000 0.2705 0.5000 1
Fe2 0.0000 0.3599 0.0000 1
Fe3 0.0000 0.5000 0.2683 1
Fe4 0.2500 0.2500 0.2500 1
```

The 10 most intense peaks (2θ = 5–70°), in order of rising 2θ:
- 2θ = 30.16°, intensity 44, (1 2 1)
- 2θ = 36.84°, intensity 20, (1 0 3)
- 2θ = 36.94°, intensity 20, (1 3 0)
- 2θ = 38.50°, intensity 16, (2 0 0)
- 2θ = 42.13°, intensity 36, (0 0 4)
- 2θ = 42.29°, intensity 32, (0 4 0)
- 2θ = 42.70°, intensity 100, (1 3 2)
- 2θ = 44.12°, intensity 71, (2 0 2)
- 2θ = 49.23°, intensity 29, (2 2 2)
- 2θ = 62.71°, intensity 13, (2 2 4)

~~~~~

This entry pairs a crystal structure of Tl3VBr6 with its simulated powder diffraction line list. Radiation: copper Kα. Structure: a DFT-relaxed cell (PBE, Alexandria).
Lines closer than 0.1° are merged.

Cell and atoms:
```
Tl3VBr6
1.0
6.538 -3.851 0.000
6.538 3.851 0.000
-4.236 0.000 6.938
Tl V Br
3 1 6
Cartesian
0.000 0.000 0.000
0.085 0.000 4.981
8.754 0.000 1.957
4.420 0.000 3.469
2.898 1.802 4.468
3.037 0.000 1.314
5.941 1.802 2.470
2.898 -1.802 4.468
5.803 0.000 5.624
5.941 -1.802 2.470
*/
    Abstract: A method is provided of identifying an antenna, by the steps of: providing the antenna with an identifying radiofrequency identification RFID circuit, connecting one end of a cable to the antenna, connecting the other end of the cable to a remote unit, sending a trigger signal to the RFID circuit, receiving by the remote unit via the cable a response signal from the RFID circuit, and decoding the response signal so as to identify the antenna.
    Type: Application
    Filed: January 7, 2008
    Publication date: August 21, 2008
    Inventors: Jan Hesselbarth, Florian Pivit
  • Patent number: 7034765
    Abstract: An antenna element is provided which responsive in multiple frequency bands, has symmetric beam patterns, and is easily and cheaply fabricated. The antenna element includes at least three conductive plates arranged in a stack At least one pair of adjacent plates contain apertures that are mutually aligned relative to the stacking direction. The antenna element further includes at least one air stripline arranged to create radiative electromagnetic excitations of the apertures when the stripline or striplines are energized by a suitable radiofrequency voltage source or sources.
    Type: Grant
    Filed: September 30, 2003
    Date of Patent: April 25, 2006
    Assignee: Lucent Technologies Inc.
    Inventors: Georg Fischer, Florian Pivit
  • Patent number: 7030825
    Abstract: A wide-bandwidth aperture antenna is constructed of two parallel metal plates 51, 52, each having a resonant aperture 53, 54. The apertured plates are arranged parallel to one another, with the apertures aligned. A third plate 57 is arranged parallel to the apertured plates to act as a reflector. The resonant apertures are in the form of squares with rounded corners. Feed stubs 55 and 56 are arranged between the apertured plates and project into the region between the apertures to excite orthogonally polarized modes. The feed stubs are in the form of strips which are aligned in planes perpendicular to the planes of the apertured plates. An exemplary embodiment has a bandwidth of 1700 MHz to 3300 MHz, containing the bands used for GSM 1800, UMTS, UMTS+, Bluetooth and WLAN systems. The feed is high-impedance and the decoupling better than ?11 dB over the whole bandwidth.
    Type: Grant
    Filed: September 29, 2004
    Date of Patent: April 18, 2006
    Assignee: Lucent Technologies Inc.
    Inventors: Georg Fischer, Florian Pivit
  • Publication number: 20060066497
    Abstract: A wide-bandwidth aperture antenna is constructed of two parallel metal plates 51, 52, each having a resonant aperture 53, 54. The apertured plates are arranged parallel to one another, with the apertures aligned. A third plate 57 is arranged parallel to the apertured plates to act as a reflector. The resonant apertures are in the form of squares with rounded corners. Feed stubs 55 and 56 are arranged between the apertured plates and project into the region between the apertures to excite orthogonally polarized modes. The feed stubs are in the form of strips which are aligned in planes perpendicular to the planes of the apertured plates. An exemplary embodiment has a bandwidth of 1700 MHz to 3300 MHz, containing the bands used for GSM 1800, UMTS, UMTS+, Bluetooth and WLAN systems. The feed is high-impedance and the decoupling better than ?11 dB over the whole bandwidth.
    Type: Application
    Filed: September 29, 2004
    Publication date: March 30, 2006
____________
Entry 1:
For AsSBr3F6, a PBE-relaxed structure gives the simulated XRD peak list in this record (CuKα).
Neutral-atom scattering factors, no anomalous dispersion.

Largest 10 diffraction maxima, most intense first, 2θ = 15–90°:
21.05°, intensity 100.0
25.17°, intensity 47.5
21.48°, intensity 42.7
26.31°, intensity 27.6
29.92°, intensity 23.6
29.82°, intensity 21.6
26.50°, intensity 16.8
34.16°, intensity 16.8
18.40°, intensity 15.7
24.96°, intensity 14.3

Structure:
```
AsSBr3F6
1.0
8.323 0.000 0.000
0.000 9.644 0.000
-1.341 0.000 12.284
As S Br F
4 4 12 24
direct
0.211 0.226 0.057 As
0.211 0.274 0.557 As
0.789 0.726 0.443 As
0.789 0.774 0.943 As
0.209 0.698 0.716 S
0.209 0.802 0.216 S
0.791 0.198 0.784 S
0.791 0.302 0.284 S
0.210 0.595 0.287 Br
0.210 0.905 0.787 Br
0.253 0.557 0.855 Br
0.253 0.943 0.355 Br
0.430 0.690 0.636 Br
0.430 0.810 0.136 Br
0.570 0.190 0.864 Br
0.570 0.310 0.364 Br
0.747 0.057 0.645 Br
0.747 0.443 0.145 Br
0.790 0.095 0.213 Br
0.790 0.405 0.713 Br
0.022 0.227 0.487 F
0.022 0.273 0.987 F
0.135 0.059 0.084 F
0.135 0.441 0.584 F
0.150 0.210 0.681 F
0.150 0.290 0.181 F
0.272 0.162 0.931 F
0.272 0.338 0.431 F
0.290 0.107 0.528 F
0.290 0.393 0.028 F
0.403 0.180 0.123 F
0.403 0.320 0.623 F
0.597 0.680 0.377 F
0.597 0.820 0.877 F
0.710 0.607 0.972 F
0.710 0.893 0.472 F
0.728 0.662 0.569 F
0.728 0.838 0.069 F
0.850 0.710 0.819 F
0.850 0.790 0.319 F
0.865 0.559 0.416 F
0.865 0.941 0.916 F
0.978 0.727 0.013 F
0.978 0.773 0.513 F
```

=====

Entry 2:
For Fe3AsBr, a PBE-relaxed structure gives the simulated XRD peak list in this record (CuKα).
Neutral-atom scattering factors, no anomalous dispersion.

Largest 10 diffraction maxima, most intense first, 2θ = 15–90°:
40.38°, intensity 100.0
58.43°, intensity 63.7
34.78°, intensity 54.1
28.25°, intensity 47.1
19.87°, intensity 23.9
73.42°, intensity 20.8
50.01°, intensity 19.4
69.82°, intensity 18.0
80.43°, intensity 10.4
87.30°, intensity 9.9

Structure:
```
Fe3AsBr
1.0
4.468 0.000 0.000
0.000 4.468 0.000
0.000 0.000 4.468
Fe As Br
3 1 1
direct
0.000 0.000 0.500 Fe
0.000 0.500 0.000 Fe
0.500 0.000 0.000 Fe
0.500 0.500 0.500 As
0.000 0.000 0.000 Br
```

=====

Entry 3:
For FeAs2Br, a PBE-relaxed structure gives the simulated XRD peak list in this record (CuKα).
Neutral-atom scattering factors, no anomalous dispersion.

Largest 10 diffraction maxima, most intense first, 2θ = 15–90°:
33.66°, intensity 100.0
51.86°, intensity 60.1
21.75°, intensity 54.8
37.24°, intensity 47.0
29.39°, intensity 46.2
42.39°, intensity 41.5
42.51°, intensity 31.9
28.58°, intensity 30.2
29.17°, intensity 27.8
40.38°, intensity 27.1

Structure:
```
FeAs2Br
1.0
8.509 0.000 0.000
0.000 3.311 0.000
-2.311 0.000 6.700
Fe As Br
2 4 2
direct
0.000 0.000 0.000 Fe
0.500 0.500 0.000 Fe
0.273 0.000 0.940 As
0.426 0.000 0.713 As
0.773 0.500 0.940 As
0.926 0.500 0.713 As
0.126 0.500 0.285 Br
0.626 0.000 0.285 Br
```

=====

Entry 4:
____________
End of the calculated crystals:
    Inventors: Georg Fischer, Florian Pivit
  • Publication number: 20050068239
    Abstract: An antenna element is provided which responsive in multiple frequency bands, has symmetric beam patterns, and is easily and cheaply fabricated. The antenna element includes at least three conductive plates arranged in a stack At least one pair of adjacent plates contain apertures that are mutually aligned relative to the stacking direction. The antenna element further includes at least one air stripline arranged to create radiative electromagnetic excitations of the apertures when the stripline or striplines are energized by a suitable radiofrequency voltage source or sources.
    Type: Application
    Filed: September 30, 2003
    Publication date: March 31, 2005
+++
No. 1
Computed powder XRD pattern
Compound: Li3Fe2P3O12
Radiation: copper Kα
Structure: a DFT-relaxed cell (PBE+U, the Materials Project)
No peak broadening, texture or thermal motion is included.

Structure:
```
Li3Fe2P3O12
1.0
8.3907 0.0000 0.0000
-4.1913 7.2949 0.0000
-0.0039 -4.8514 7.6399
Li Fe P O
6 4 6 24
direct
0.0000 0.0000 0.0000
0.0620 0.8739 0.2775
0.4042 0.7433 0.0000
0.4781 0.7472 0.5157
0.6553 0.4059 0.9987
0.8140 0.2291 0.2838
0.0902 0.5125 0.1823
0.3860 0.1160 0.0917
0.5901 0.5175 0.6966
0.8833 0.1038 0.5767
0.1911 0.3143 0.3891
0.2707 0.3058 0.8845
0.4837 0.0180 0.3870
0.6930 0.0185 0.8933
0.7721 0.5987 0.3799
0.9857 0.6037 0.8887
0.1178 0.1796 0.7101
0.1944 0.1211 0.2371
0.2021 0.7863 0.9454
0.2254 0.4794 0.3386
0.2371 0.1491 0.9450
0.2559 0.4941 0.0255
0.2662 0.8388 0.3313
0.3499 0.4445 0.5598
0.4763 0.4133 0.8667
0.5283 0.0521 0.2304
0.5328 0.2282 0.5492
0.5658 0.1077 0.9441
0.5798 0.4345 0.2248
0.5973 0.7965 0.8765
0.6042 0.9410 0.4223
0.7204 0.9921 0.7173
0.7305 0.6168 0.5493
0.8597 0.6823 0.8670
0.8663 0.8208 0.3963
0.8904 0.1757 0.0432
0.9063 0.5167 0.3313
0.9311 0.3937 0.7219
0.9433 0.5649 0.0438
0.9853 0.2040 0.4064
```

Peak list (10 most intense, 15° ≤ 2θ ≤ 90°, low angle first)
h k l	2θ (°)	I/Imax
-1 1 1	19.72	79
1 1 -1	21.14	18
1 1 -2	24.17	100
2 -2 2	29.06	52
1 1 -3	31.65	79
3 -1 1	36.21	16
3 -3 1	37.08	15
2 0 -4	46.84	14
-2 3 2	51.92	23
3 -4 5	61.23	12

***

No. 2
Computed powder XRD pattern
Compound: LiFeP2O7
Radiation: copper Kα
Structure: a DFT-relaxed cell (PBE+U, the Materials Project)
No peak broadening, texture or thermal motion is included.

Structure:
```
LiFeP2O7
1.0
4.9489 0.0000 0.0000
0.0000 8.0646 0.0000
-2.6284 0.0000 13.9586
Li Fe P O
4 4 8 28
direct
0.0470 0.1416 0.3791
0.0470 0.3584 0.8791
0.9530 0.6416 0.1209
0.9530 0.8584 0.6209
0.3290 0.2360 0.6890
0.3290 0.2640 0.1890
0.6710 0.7360 0.8110
0.6710 0.7640 0.3110
0.1569 0.5288 0.3225
0.1569 0.9712 0.8225
0.2625 0.7184 0.9557
0.2625 0.7816 0.4557
0.7375 0.2184 0.5443
0.7375 0.2816 0.0443
0.8431 0.0288 0.1775
0.8431 0.4712 0.6775
0.0331 0.6326 0.8815
0.0331 0.8674 0.3815
0.1571 0.0507 0.2077
0.1571 0.4493 0.7077
0.2289 0.5796 0.4331
0.2289 0.9204 0.9331
0.2434 0.6953 0.0578
0.2434 0.8047 0.5578
0.2445 0.1527 0.8138
0.2445 0.3473 0.3138
0.3095 0.6457 0.2641
0.3095 0.8543 0.7641
0.4524 0.1786 0.5696
0.4524 0.3214 0.0696
0.5476 0.6786 0.9304
0.5476 0.8214 0.4304
0.6905 0.1457 0.2359
0.6905 0.3543 0.7359
0.7555 0.6527 0.6862
0.7555 0.8473 0.1862
0.7566 0.1953 0.4422
0.7566 0.3047 0.9422
0.7711 0.0796 0.0669
0.7711 0.4204 0.5669
0.8429 0.5507 0.2923
0.8429 0.9493 0.7923
0.9669 0.1326 0.6185
0.9669 0.3674 0.1185
```

Peak list (10 most intense, 15° ≤ 2θ ≤ 90°, low angle first)
h k l	2θ (°)	I/Imax
0 1 2	16.80	100
0 2 0	22.05	44
1 1 -2	23.07	28
1 1 1	23.24	19
1 1 2	26.61	56
1 2 0	28.76	19
1 2 -2	30.09	24
0 3 1	33.97	26
1 1 -6	41.36	22
1 3 2	41.57	21

***

Please write out number 1 again, unchanged.
Computed powder XRD pattern
Compound: Li3Fe2P3O12
+++
(End of the records of crystals)
    Inventors: Georg Fischer, Florian Pivit